The future was rubbish


Registered User
This morning as I inched my way through the clogged arteries of the organism that is Dublin rush-hour, I spent some time staring at the back of a TOYOTA Prius.

It occurred to me - The future is rubbish.

If you had told me, when I was a kid, that the best advance made by the motoring industry by the year 2005, was a petrol/electric hybrid, I could not have believed you.

Where's my jet-pack ?

This is not good enough. I grew up dreaming fo space stations and space exploration and phasers and Vulcan neck pinches. And now, >30 years later, what had science done for us ?

Botox ? Robosapiens ?

I feel cheated :rolleyes: .
Re: The future is rubbish

When I was a young child and subjected to Star Trek films courtesy of my older brothers, I was sure that the immediate future held the promise of that 'beam me up Scotty' machine. That would be so handy, no?
Re: The future is rubbish

Teleporting !

That's another one that was promised ! The sooner the US military release that on a commercial basis ....
Re: The future is rubbish

-- What comes next are data records, not part of the article --
~~~
1.
# AlIn3Au12
Computed X-ray powder pattern, Cu Kα (weighted mean of Kα1 and Kα2). Input: a DFT-relaxed cell (GGA-PBE, Alexandria).
Lines closer than 0.1° are merged.

Atomic structure:
```
AlIn3Au12
1.0
4.232 0.000 0.000
0.000 4.232 0.000
0.000 0.000 16.563
Al In Au
1 3 12
direct
0.000 0.000 0.000 Al
0.000 0.000 0.245 In
0.000 0.000 0.500 In
0.000 0.000 0.755 In
0.000 0.500 0.116 Au
0.000 0.500 0.372 Au
0.000 0.500 0.628 Au
0.000 0.500 0.884 Au
0.500 0.000 0.116 Au
0.500 0.000 0.372 Au
0.500 0.000 0.628 Au
0.500 0.000 0.884 Au
0.500 0.500 0.000 Au
0.500 0.500 0.244 Au
0.500 0.500 0.500 Au
0.500 0.500 0.756 Au
```

Most intense lines, 2θ from 5° to 70°, by angle:
- 2θ 21.0, d = 4.232 Å, I = 5
- 2θ 21.5, d = 4.141 Å, I = 2
- 2θ 30.2, d = 2.960 Å, I = 4
- 2θ 37.1, d = 2.426 Å, I = 100
- 2θ 42.7, d = 2.116 Å, I = 34
- 2θ 43.7, d = 2.070 Å, I = 15
- 2θ 62.0, d = 1.496 Å, I = 11
- 2θ 62.8, d = 1.480 Å, I = 21

=====

2.
# AlInAu3
Computed X-ray powder pattern, Cu Kα (weighted mean of Kα1 and Kα2). Input: a DFT-relaxed cell (GGA-PBE, Alexandria).
Lines closer than 0.1° are merged.

Atomic structure:
```
AlInAu3
1.0
4.364 0.000 0.000
-0.041 5.559 0.000
-0.009 -0.549 8.056
Al In Au
2 2 6
direct
0.250 0.173 0.410 Al
0.750 0.827 0.590 Al
0.248 0.528 0.840 In
0.752 0.472 0.160 In
0.249 0.651 0.420 Au
0.250 0.155 0.079 Au
0.252 0.035 0.718 Au
0.748 0.965 0.282 Au
0.750 0.845 0.921 Au
0.751 0.349 0.580 Au
```

Most intense lines, 2θ from 5° to 70°, by angle:
- 2θ 27.8, d = 3.213 Å, I = 36
- 2θ 27.9, d = 3.196 Å, I = 35
- 2θ 28.3, d = 3.159 Å, I = 53
- 2θ 33.5, d = 2.672 Å, I = 31
- 2θ 38.3, d = 2.348 Å, I = 38
- 2θ 38.6, d = 2.333 Å, I = 38
- 2θ 39.4, d = 2.288 Å, I = 100
- 2θ 41.4, d = 2.182 Å, I = 62

=====

3.
# Al2In2Au7
Computed X-ray powder pattern, Cu Kα (weighted mean of Kα1 and Kα2). Input: a DFT-relaxed cell (GGA-PBE, Alexandria).
Lines closer than 0.1° are merged.

Atomic structure:
```
Al2In2Au7
1.0
2.877 -4.942 0.000
2.877 4.942 0.000
-0.493 0.000 7.408
Al In Au
2 2 7
direct
0.229 0.771 0.000 Al
0.771 0.229 0.000 Al
0.389 0.389 0.303 In
0.611 0.611 0.697 In
0.000 0.000 0.500 Au
0.033 0.472 0.689 Au
0.231 0.231 0.937 Au
0.472 0.033 0.689 Au
0.528 0.967 0.311 Au
0.769 0.769 0.063 Au
0.967 0.528 0.311 Au
```

Most intense lines, 2θ from 5° to 70°, by angle:
- 2θ 30.2, d = 2.964 Å, I = 65
- 2θ 30.9, d = 2.890 Å, I = 44
- 2θ 31.2, d = 2.870 Å, I = 39
- 2θ 36.4, d = 2.470 Å, I = 100
- 2θ 37.6, d = 2.395 Å, I = 85
- 2θ 39.8, d = 2.263 Å, I = 27
- 2θ 40.5, d = 2.227 Å, I = 52
- 2θ 47.9, d = 1.900 Å, I = 29

=====

4.
# AlInAu6
Computed X-ray powder pattern, Cu Kα (weighted mean of Kα1 and Kα2). Input: a DFT-relaxed cell (GGA-PBE, Alexandria).
Lines closer than 0.1° are merged.

Atomic structure:
```
AlInAu6
1.0
4.172 0.000 0.000
0.000 4.172 0.000
0.000 0.000 8.336
Al In Au
1 1 6
direct
0.000 0.000 0.000 Al
0.000 0.000 0.500 In
0.000 0.500 0.237 Au
0.000 0.500 0.763 Au
0.500 0.000 0.237 Au
0.500 0.000 0.763 Au
0.500 0.500 0.000 Au
0.500 0.500 0.500 Au
~~~
-- Here the article continues --

TarfHead said:
It occurred to me - The future is rubbish.

Don't you mean the present is rubbish?

Unless you were entering some sort of space time contiuum on the M50 this morning (not beyond the bounds of possibilities), how could you tell that something that hasn't happened yet is going to be rubbish?

And I don't really accept your point anyway. Its my opinion that that a whole lot of the things that we were expecting to come along have come along, and in many areas are a whole lot more advanced, but for various reasons, may just not be available to us in the general public.

Plus, aren't the developments in genetics, medicines etc (non-technology) vastly further ahead than ever expected? Isn't this more important than being able to be beamed from one location to another. Didn't they do this already in the States anyway with the [broken link removed]

Items may be just to expensive to mass produce, there may not be the demand for items that are available (the jet pack for example), governments and big business may not want us to avail of other developments (alternative fueled cars).

Look at the communications methods we have now compared to the aforementioned Star Trek. Far far better than the "comms" that they had. No mobile video picture calling there, not even picture messaging.
Re: The future is rubbish

Vanilla said:
When I was a young child and subjected to Star Trek films courtesy of my older brothers, I was sure that the immediate future held the promise of that 'beam me up Scotty' machine. That would be so handy, no?

so you could make it to the drinks tonight?
Re: The future is rubbish

ronan_d_john said:
Don't you mean the present is rubbish?

When I was a kid, 2005 = future.
2005 = rubbish.

Ergo, QED, future = rubbish.

Anyway, your post is way too analytical and factual to be taken seriously for a whimsical TFIF thread ;) .
Re: The future is Here !

Originally Posted by Tarfhead
Teleporting !

That's another one that was promised ! The sooner the US military release that on a commercial basis ....

The future is here and now -
Re: The future is rubbish

As a kid I watched the "back to the future" movies and was hoping we would have those flying cars by now!

Also was hoping we would have robots readily available to do all the household chores we hate and be like a robotic butler obeying my every wish!

## Between two parts of the piece: records of crystals
~~~
1.
The following is a computed XRD peak list of Al2Si2O9. It was derived from a DFT-relaxed cell (PBE, the Materials Project), using Cu Kα (λ = 1.5418 Å).
Intensities are scaled so that the largest is 100.

Peak list (10 most intense, 10° ≤ 2θ ≤ 90°, by intensity)
- hkl 0 0 4, 2θ 11.81, I = 100
- hkl 0 0 8, 2θ 23.75, I = 57
- hkl 0 2 1, 2θ 19.80, I = 47
- hkl 1 3 4, 2θ 36.49, I = 29
- hkl 1 1 -3, 2θ 21.28, I = 20
- hkl 1 3 -4, 2θ 36.15, I = 20
- hkl 1 1 -1, 2θ 19.68, I = 20
- hkl 1 1 5, 2θ 24.85, I = 20
- hkl 0 2 0, 2θ 19.56, I = 18
- hkl 2 0 -4, 2θ 35.93, I = 15

Crystal structure
```
data_Al2Si2O9
_chemical_formula_sum 'Al16 Si16 O72'
_symmetry_space_group_name_H-M 'C 1 c 1'
_symmetry_Int_Tables_number 9
_symmetry_space_group_name_Hall 'C -2yc'
_cell_length_a 5.2580
_cell_length_b 9.0722
_cell_length_c 29.9794
_cell_angle_alpha 90.00
_cell_angle_beta 91.53
_cell_angle_gamma 90.00
loop_
_atom_site_label
_atom_site_type_symbol
_atom_site_fract_x
_atom_site_fract_y
_atom_site_fract_z
Al1 Al 0.0002 0.0149 0.9999
Al2 Al 0.0000 0.3472 0.5000
Al3 Al 0.1517 0.1523 0.2499
Al4 Al 0.1518 0.4851 0.7499
Si1 Si 0.3251 0.0047 0.0924
Si2 Si 0.3251 0.3376 0.5924
Si3 Si 0.3559 0.0050 0.3424
Si4 Si 0.3559 0.3373 0.8424
O1 O 0.0241 0.3336 0.2195
O2 O 0.0777 0.0834 0.1129
O3 O 0.0777 0.4163 0.6129
O4 O 0.1101 0.4170 0.8628
O5 O 0.1105 0.0852 0.3631
O6 O 0.1196 0.1662 0.4698
O7 O 0.1978 0.1409 0.9649
O8 O 0.1977 0.4730 0.4649
O9 O 0.2733 0.3336 0.2738
O10 O 0.3100 0.0245 0.0374
O11 O 0.3100 0.3570 0.5375
O12 O 0.3274 0.1664 0.6068
O13 O 0.3533 0.0246 0.2874
O14 O 0.3542 0.3574 0.7874
O15 O 0.3578 0.1660 0.8565
O16 O 0.3848 0.3338 0.0238
O17 O 0.4444 0.4750 0.7151
O18 O 0.4446 0.1421 0.2151
```



2.
The following is a computed XRD peak list of Al2Si2O7. It was derived from a DFT-relaxed cell (PBE, the Materials Project), using Cu Kα (λ = 1.5418 Å).
Intensities are scaled so that the largest is 100.

Peak list (10 most intense, 10° ≤ 2θ ≤ 90°, by intensity)
- hkl 2 0 0, 2θ 27.50, I = 100
- hkl 1 1 -3, 2θ 30.63, I = 97
- hkl 0 2 2, 2θ 30.72, I = 93
- hkl 1 1 0, 2θ 17.84, I = 34
- hkl 1 3 -5, 2θ 60.77, I = 34
- hkl 2 2 2, 2θ 46.70, I = 23
- hkl 2 2 -3, 2θ 40.35, I = 18
- hkl 2 2 -1, 2θ 34.64, I = 16
- hkl 4 2 -3, 2θ 59.07, I = 16
- hkl 3 1 -3, 2θ 43.47, I = 16

Crystal structure
```
data_Al2Si2O7
_chemical_formula_sum 'Al8 Si8 O28'
_symmetry_space_group_name_H-M 'C 1 2/c 1'
_symmetry_Int_Tables_number 15
_symmetry_space_group_name_Hall '-C 2yc'
_cell_length_a 6.9714
_cell_length_b 7.7389
_cell_length_c 9.4937
_cell_angle_alpha 90.00
_cell_angle_beta 111.49
_cell_angle_gamma 90.00
loop_
_atom_site_label
_atom_site_type_symbol
_atom_site_fract_x
_atom_site_fract_y
_atom_site_fract_z
Al1 Al 0.1756 0.0741 0.4779
Si1 Si 0.2389 0.2517 0.7952
O1 O 0.0000 0.3157 0.7500
O2 O 0.1081 0.0918 0.1039
O3 O 0.2135 0.4234 0.1077
O4 O 0.2185 0.2690 0.3662
```



3.
~~~

Also could do with a teleporter sometimes when the thought of a journey puts me off. Then could transport myself from the sticks in Cork to the Xmas pint!!!!
Re: The future is rubbish

fobs said:
As a kid I watched the "back to the future" movies and was hoping we would have those flying cars by now!
[broken link removed]

Also was hoping we would have robots readily available to do all the household chores we hate and be like a robotic butler obeying my every wish!
Domestic robots.

Attached: crystal structures
____________
# 1
Starting from a GGA+U-relaxed structure, the powder X-ray diffraction pattern of Fe2O3F was simulated for Cu Kα (weighted mean of Kα1 and Kα2).
Kinematic intensities with the Lorentz-polarization factor, no thermal factor.

Structural model:
```
data_Fe2O3F
_chemical_formula_sum 'Fe8 O12 F4'
_cell_length_a 5.551
_cell_length_b 4.650
_cell_length_c 10.236
_cell_angle_alpha 90.00
_cell_angle_beta 95.45
_cell_angle_gamma 90.00
_symmetry_space_group_name_H-M 'P 1 21/c 1'
_symmetry_Int_Tables_number 14
_symmetry_space_group_name_Hall '-P 2ybc'
loop_
_atom_site_label
_atom_site_fract_x
_atom_site_fract_y
_atom_site_fract_z
Fe1 0.000 0.000 0.000
Fe2 0.243 0.021 0.740
Fe3 0.500 0.000 0.500
O1 0.020 0.693 0.672
O2 0.232 0.202 0.567
O3 0.484 0.186 0.332
F1 0.272 0.696 0.418
```

Top 10 peaks for 2θ from 10° to 80°, in order of rising 2θ:
Position (°2θ), I_rel, hkl
27.04, 100, 1 1 1
35.23, 13, 0 0 4
35.42, 39, 2 0 -2
40.57, 7, 2 1 -2
53.14, 14, 1 1 5
53.35, 15, 0 2 4
53.49, 30, 3 1 -1
55.76, 16, 2 2 2
61.29, 8, 2 0 -6
67.95, 10, 1 3 -3



# 2
Starting from a GGA+U-relaxed structure, the powder X-ray diffraction pattern of Fe3O2F4 was simulated for Cu Kα (weighted mean of Kα1 and Kα2).
Kinematic intensities with the Lorentz-polarization factor, no thermal factor.

Structural model:
```
data_Fe3O2F4
_chemical_formula_sum 'Fe6 O4 F8'
_cell_length_a 4.785
_cell_length_b 4.800
_cell_length_c 10.491
_cell_angle_alpha 90.00
_cell_angle_beta 116.02
_cell_angle_gamma 90.00
_symmetry_space_group_name_H-M 'P 1 21/c 1'
_symmetry_Int_Tables_number 14
_symmetry_space_group_name_Hall '-P 2ybc'
loop_
_atom_site_label
_atom_site_fract_x
_atom_site_fract_y
_atom_site_fract_z
Fe1 0.000 0.000 0.000
Fe2 0.285 0.014 0.323
O1 0.026 0.190 0.831
F1 0.318 0.682 0.002
F2 0.386 0.215 0.175
```

Top 10 peaks for 2θ from 10° to 80°, in order of rising 2θ:
Position (°2θ), I_rel, hkl
26.30, 100, 1 1 -1
33.82, 13, 1 0 2
34.10, 27, 0 1 3
34.45, 13, 1 0 -4
51.21, 13, 2 1 1
51.36, 14, 1 2 2
51.81, 17, 1 2 -4
52.11, 16, 2 1 -5
54.13, 18, 2 2 -2
65.46, 12, 0 3 3



# 3
Starting from a GGA+U-relaxed structure, the powder X-ray diffraction pattern of Fe2OF3 was simulated for Cu Kα (weighted mean of Kα1 and Kα2).
Kinematic intensities with the Lorentz-polarization factor, no thermal factor.

Structural model:
```
data_Fe2OF3
_chemical_formula_sum 'Fe16 O8 F24'
_cell_length_a 12.408
_cell_length_b 6.955
_cell_length_c 6.802
_cell_angle_alpha 90.00
_cell_angle_beta 90.00
_cell_angle_gamma 90.00
_symmetry_space_group_name_H-M 'A m m 2'
_symmetry_Int_Tables_number 38
_symmetry_space_group_name_Hall 'A 2 -2'
loop_
_atom_site_label
_atom_site_fract_x
_atom_site_fract_y
_atom_site_fract_z
Fe1 0.000 0.000 0.000
Fe2 0.124 0.000 0.528
Fe3 0.250 0.000 0.052
Fe4 0.375 0.000 0.503
Fe5 0.500 0.000 0.038
O1 0.000 0.000 0.697
O2 0.246 0.000 0.349
O3 0.500 0.000 0.340
F1 0.000 0.000 0.321
F2 0.124 0.204 0.025
F3 0.251 0.000 0.733
F4 0.376 0.208 0.031
F5 0.500 0.000 0.720
```
____________

Also could do with a teleporter sometimes when the thought of a journey puts me off. Then could transport myself from the sticks in Cork to the Xmas pint!!!!
[broken link removed]
Re: The future is rubbish

Yeah...I watched 'Weird Science' as a kid and I always dreamt of being able to create my ideal woman in that manner. Imagine the possibilities??? Damn computers are useless! ;)
Re: The future is rubbish

Stepford Wives, Gabriel? I'm sure your perfect woman wouldn't be driving though.:rolleyes:
Re: The future is rubbish

Vanilla said:
Stepford Wives, Gabriel? I'm sure your perfect woman wouldn't be driving though.:rolleyes: you're right. She definitely wouldn't be driving ;)
Re: The future is rubbish you're right. She definitely wouldn't be driving ;)

surely you would program her to drive like a man and then the roads would be perfect ;)
Re: The future is rubbish

fobs I never thought of that...I'll write that into my program ;)
Re: The future is rubbish

Lost In Space.....really impressed me when I saw it a few years ago. The 1950s family land on some planet, and the mother throws all the laundry into the washing machine. A few clicks and whirrs later, the machine ejects the clothes: clean, ironed, folded, and wrapped in plastic. You'd know a woman didn't write the episode, otherwise the clothes would have put themselves away too!